### Given
- - -
Computed, not measured: an optimized crystal structure of LiAsS2 at the PBE level of DFT.

Computed properties:
For the formation energy (no corrections), the calculation gives -2.192 eV per formula unit. As for the energy: -68.0 eV for the cell shown. The crystal system is orthorhombic. As for the total magnetization: 0.0 μB/cell. The calculation puts the density at 2.86 g/cm³.

a b c (Å): 6.722 7.831 6.447
angles (deg): 90.00 90.00 90.00
Atoms (fractional coordinates):
Li1 0.173 0.105 0.000
Li2 0.327 0.605 0.500
Li3 0.673 0.395 0.000
Li4 0.827 0.895 0.500
As1 0.174 0.584 0.018
As2 0.326 0.084 0.518
As3 0.674 0.916 0.018
As4 0.826 0.416 0.518
S1 0.109 0.394 0.733
S2 0.151 0.890 0.686
S3 0.349 0.390 0.186
S4 0.391 0.894 0.233
S5 0.609 0.106 0.733
S6 0.651 0.610 0.686
S7 0.849 0.110 0.186
S8 0.891 0.606 0.233



Computed, not measured: an optimized crystal structure of Li3As5S12 at the PBE level of DFT.

Computed properties:
For the formation energy (no corrections), the calculation gives -3.940 eV per formula unit. As for the energy: -329.8 eV for the cell shown. The crystal system is cubic. As for the total magnetization: 0.0 μB/cell. The calculation puts the density at 2.98 g/cm³.

a b c (Å): 13.121 13.121 13.121
angles (deg): 109.47 109.47 109.47
Atoms (fractional coordinates):
Li1 0.125 0.250 0.375
Li2 0.125 0.375 0.750
Li3 0.250 0.375 0.125
Li4 0.250 0.875 0.625
Li5 0.375 0.125 0.250
Li6 0.375 0.750 0.125
Li7 0.625 0.250 0.875
Li8 0.625 0.875 0.750
Li9 0.750 0.125 0.375
Li10 0.750 0.625 0.875
Li11 0.875 0.625 0.250
Li12 0.875 0.750 0.625
As1 0.000 0.000 0.000
As2 0.000 0.000 0.500
As3 0.000 0.500 0.000
As4 0.000 0.500 0.500
As5 0.125 0.750 0.875
As6 0.125 0.875 0.250
As7 0.250 0.125 0.875
As8 0.250 0.625 0.375
As9 0.375 0.250 0.625
As10 0.375 0.625 0.750
As11 0.500 0.000 0.000
As12 0.500 0.000 0.500
As13 0.500 0.500 0.000
As14 0.500 0.500 0.500
As15 0.625 0.375 0.250
As16 0.625 0.750 0.375
As17 0.750 0.375 0.625
As18 0.750 0.875 0.125
As19 0.875 0.125 0.750
As20 0.875 0.250 0.125
S1 0.029 0.213 0.125
S2 0.029 0.316 0.905
S3 0.089 0.713 0.684
S4 0.089 0.875 0.405
S5 0.095 0.625 0.411
S6 0.095 0.971 0.684
S7 0.125 0.029 0.213
S8 0.125 0.595 0.911
S9 0.184 0.213 0.589
S10 0.184 0.471 0.595
S11 0.213 0.125 0.029
S12 0.213 0.589 0.184
S13 0.287 0.316 0.911
S14 0.287 0.471 0.375
S15 0.316 0.905 0.029
S16 0.316 0.911 0.287
S17 0.375 0.287 0.471
S18 0.375 0.589 0.905
S19 0.405 0.089 0.875
S20 0.405 0.816 0.529
S21 0.411 0.095 0.625
S22 0.411 0.816 0.787
S23 0.471 0.375 0.287
S24 0.471 0.595 0.184
S25 0.529 0.405 0.816
S26 0.529 0.625 0.713
S27 0.589 0.184 0.213
S28 0.589 0.905 0.375
S29 0.595 0.184 0.471
S30 0.595 0.911 0.125
S31 0.625 0.411 0.095
S32 0.625 0.713 0.529
S33 0.684 0.089 0.713
S34 0.684 0.095 0.971
S35 0.713 0.529 0.625
S36 0.713 0.684 0.089
S37 0.787 0.411 0.816
S38 0.787 0.875 0.971
S39 0.816 0.529 0.405
S40 0.816 0.787 0.411
S41 0.875 0.405 0.089
S42 0.875 0.971 0.787
S43 0.905 0.029 0.316
S44 0.905 0.375 0.589
S45 0.911 0.125 0.595
S46 0.911 0.287 0.316
S47 0.971 0.684 0.095
S48 0.971 0.787 0.875



Computed, not measured: an optimized crystal structure of LiAsS2 at the PBE level of DFT.

Computed properties:
For the formation energy (no corrections), the calculation gives -0.133 eV per formula unit. As for the energy: -15.0 eV for the cell shown. The crystal system is trigonal. As for the total magnetization: 0.0 μB/cell. The calculation puts the density at 3.51 g/cm³.

a b c (Å): 8.710 8.710 8.710
angles (deg): 20.21 20.21 20.21
Atoms (fractional coordinates):
Li1 0.000 0.000 0.000
As1 0.500 0.500 0.500
S1 0.402 0.402 0.402
S2 0.598 0.598 0.598



Computed, not measured: an optimized crystal structure of Li2As2S5 at the PBE level of DFT.

Computed properties:
- - -

### What to do
The reader should write out all of the rows above with every line break kept.

### Reply
Computed, not measured: an optimized crystal structure of LiAsS2 at the PBE level of DFT.

Computed properties:
For the formation energy (no corrections), the calculation gives -2.192 eV per formula unit. As for the energy: -68.0 eV for the cell shown. The crystal system is orthorhombic. As for the total magnetization: 0.0 μB/cell. The calculation puts the density at 2.86 g/cm³.

a b c (Å): 6.722 7.831 6.447
angles (deg): 90.00 90.00 90.00
Atoms (fractional coordinates):
Li1 0.173 0.105 0.000
Li2 0.327 0.605 0.500
Li3 0.673 0.395 0.000
Li4 0.827 0.895 0.500
As1 0.174 0.584 0.018
As2 0.326 0.084 0.518
As3 0.674 0.916 0.018
As4 0.826 0.416 0.518
S1 0.109 0.394 0.733
S2 0.151 0.890 0.686
S3 0.349 0.390 0.186
S4 0.391 0.894 0.233
S5 0.609 0.106 0.733
S6 0.651 0.610 0.686
S7 0.849 0.110 0.186
S8 0.891 0.606 0.233



Computed, not measured: an optimized crystal structure of Li3As5S12 at the PBE level of DFT.

Computed properties:
For the formation energy (no corrections), the calculation gives -3.940 eV per formula unit. As for the energy: -329.8 eV for the cell shown. The crystal system is cubic. As for the total magnetization: 0.0 μB/cell. The calculation puts the density at 2.98 g/cm³.

a b c (Å): 13.121 13.121 13.121
angles (deg): 109.47 109.47 109.47
Atoms (fractional coordinates):
Li1 0.125 0.250 0.375
Li2 0.125 0.375 0.750
Li3 0.250 0.375 0.125
Li4 0.250 0.875 0.625
Li5 0.375 0.125 0.250
Li6 0.375 0.750 0.125
Li7 0.625 0.250 0.875
Li8 0.625 0.875 0.750
Li9 0.750 0.125 0.375
Li10 0.750 0.625 0.875
Li11 0.875 0.625 0.250
Li12 0.875 0.750 0.625
As1 0.000 0.000 0.000
As2 0.000 0.000 0.500
As3 0.000 0.500 0.000
As4 0.000 0.500 0.500
As5 0.125 0.750 0.875
As6 0.125 0.875 0.250
As7 0.250 0.125 0.875
As8 0.250 0.625 0.375
As9 0.375 0.250 0.625
As10 0.375 0.625 0.750
As11 0.500 0.000 0.000
As12 0.500 0.000 0.500
As13 0.500 0.500 0.000
As14 0.500 0.500 0.500
As15 0.625 0.375 0.250
As16 0.625 0.750 0.375
As17 0.750 0.375 0.625
As18 0.750 0.875 0.125
As19 0.875 0.125 0.750
As20 0.875 0.250 0.125
S1 0.029 0.213 0.125
S2 0.029 0.316 0.905
S3 0.089 0.713 0.684
S4 0.089 0.875 0.405
S5 0.095 0.625 0.411
S6 0.095 0.971 0.684
S7 0.125 0.029 0.213
S8 0.125 0.595 0.911
S9 0.184 0.213 0.589
S10 0.184 0.471 0.595
S11 0.213 0.125 0.029
S12 0.213 0.589 0.184
S13 0.287 0.316 0.911
S14 0.287 0.471 0.375
S15 0.316 0.905 0.029
S16 0.316 0.911 0.287
S17 0.375 0.287 0.471
S18 0.375 0.589 0.905
S19 0.405 0.089 0.875
S20 0.405 0.816 0.529
S21 0.411 0.095 0.625
S22 0.411 0.816 0.787
S23 0.471 0.375 0.287
S24 0.471 0.595 0.184
S25 0.529 0.405 0.816
S26 0.529 0.625 0.713
S27 0.589 0.184 0.213
S28 0.589 0.905 0.375
S29 0.595 0.184 0.471
S30 0.595 0.911 0.125
S31 0.625 0.411 0.095
S32 0.625 0.713 0.529
S33 0.684 0.089 0.713
S34 0.684 0.095 0.971
S35 0.713 0.529 0.625
S36 0.713 0.684 0.089
S37 0.787 0.411 0.816
S38 0.787 0.875 0.971
S39 0.816 0.529 0.405
S40 0.816 0.787 0.411
S41 0.875 0.405 0.089
S42 0.875 0.971 0.787
S43 0.905 0.029 0.316
S44 0.905 0.375 0.589
S45 0.911 0.125 0.595
S46 0.911 0.287 0.316
S47 0.971 0.684 0.095
S48 0.971 0.787 0.875



Computed, not measured: an optimized crystal structure of LiAsS2 at the PBE level of DFT.

Computed properties:
For the formation energy (no corrections), the calculation gives -0.133 eV per formula unit. As for the energy: -15.0 eV for the cell shown. The crystal system is trigonal. As for the total magnetization: 0.0 μB/cell. The calculation puts the density at 3.51 g/cm³.

a b c (Å): 8.710 8.710 8.710
angles (deg): 20.21 20.21 20.21
Atoms (fractional coordinates):
Li1 0.000 0.000 0.000
As1 0.500 0.500 0.500
S1 0.402 0.402 0.402
S2 0.598 0.598 0.598



Computed, not measured: an optimized crystal structure of Li2As2S5 at the PBE level of DFT.

Computed properties: